Source
/*
Pm3Nd7Dy: computed X-ray diffraction stick pattern (Cu Kα (λ = 1.5418 Å)), based on a GGA-PBE-relaxed structure.
No peak broadening, texture or thermal motion is included.

Cell and atoms:
```
data_Pm3Nd7Dy
_chemical_formula_sum 'Pm6 Nd14 Dy2'
_space_group_name_H-M_alt 'C 1 2/m 1'
_space_group_IT_number 12
_cell_length_a 11.825
_cell_length_b 10.296
_cell_length_c 6.529
_cell_angle_alpha 90.00
_cell_angle_beta 95.02
_cell_angle_gamma 90.00
loop_
_space_group_symop_operation_xyz
'x,y,z'
'-x,-y,-z'
'-x,y,-z'
'x,-y,z'
'x+1/2,y+1/2,z'
'-x+1/2,-y+1/2,-z'
'-x+1/2,y+1/2,-z'
'x+1/2,-y+1/2,z'
loop_
_atom_site_label
_atom_site_type_symbol
_atom_site_fract_x
_atom_site_fract_y
_atom_site_fract_z
Pm1 Pm 0.000 0.000 0.000
Pm2 Pm 0.000 0.171 0.500
Nd1 Nd 0.000 0.500 0.500
Nd2 Nd 0.239 0.000 0.714
Nd3 Nd 0.245 0.327 0.761
Dy1 Dy 0.000 0.500 0.000
```

Peak list (10 most intense, 10° ≤ 2θ ≤ 90°, low angle first)
| two_theta | Rel. int. | hkl |
| --- | --- | --- |
| 30.21 | 81 | 2 0 -2 |
| 30.35 | 83 | 4 0 0 |
| 30.72 | 100 | 1 3 1 |
| 32.59 | 71 | 2 0 2 |
| 36.68 | 63 | 3 3 -1 |
| 49.78 | 24 | 1 3 -3 |
| 49.97 | 25 | 5 3 1 |
| 52.28 | 17 | 6 0 -2 |
| 62.62 | 40 | 4 6 0 |
| 63.97 | 18 | 2 6 2 |

Pm6Nd8Dy: computed X-ray diffraction stick pattern (Cu Kα (λ = 1.5418 Å)), based on a GGA-PBE-relaxed structure.
No peak broadening, texture or thermal motion is included.

Cell and atoms:
```
data_Pm6Nd8Dy
_chemical_formula_sum 'Pm18 Nd24 Dy3'
_space_group_name_H-M_alt 'R -3'
_space_group_IT_number 148
_space_group_name_Hall '-R 3'
_cell_length_a 9.2926
_cell_length_b 9.2926
_cell_length_c 21.0929
_cell_angle_alpha 90.00
_cell_angle_beta 90.00
_cell_angle_gamma 120.00
loop_
_atom_site_label
_atom_site_type_symbol
_atom_site_fract_x
_atom_site_fract_y
_atom_site_fract_z
Pm1 Pm 0.0520 0.8053 0.2072
Nd1 Nd 0.0000 0.0000 0.0778
Nd2 Nd 0.0805 0.5236 0.3066
Dy1 Dy 0.0000 0.0000 0.5000
```

Peak list (10 most intense, 10° ≤ 2θ ≤ 90°, low angle first)
| two_theta | Rel. int. | hkl |
| --- | --- | --- |
| 29.67 | 41 | 2 1 1 |
| 30.59 | 100 | 1 2 2 |
| 30.71 | 67 | 2 0 5 |
| 31.71 | 49 | 1 0 7 |
| 31.92 | 18 | 2 -1 6 |
| 34.03 | 19 | 3 -1 4 |
| 35.83 | 23 | 0 3 3 |
| 51.80 | 17 | 0 3 9 |
| 53.81 | 21 | 4 1 3 |
| 58.64 | 15 | 3 2 7 |

Pm5NdDy5: computed X-ray diffraction stick pattern (Cu Kα (λ = 1.5418 Å)), based on a GGA-PBE-relaxed structure.
No peak broadening, texture or thermal motion is included.

Cell and atoms:
```
data_Pm5NdDy5
_chemical_formula_sum 'Pm5 Nd1 Dy5'
_space_group_name_H-M_alt 'P -6 m 2'
_space_group_IT_number 187
_space_group_name_Hall 'P -6 2'
_cell_length_a 6.1375
_cell_length_b 6.1375
_cell_length_c 11.7378
_cell_angle_alpha 90.00
_cell_angle_beta 90.00
_cell_angle_gamma 120.00
loop_
_atom_site_label
_atom_site_type_symbol
_atom_site_fract_x
_atom_site_fract_y
_atom_site_fract_z
Pm1 Pm 0.0000 0.0000 0.0000
Pm2 Pm 0.3333 0.6667 0.3216
Pm3 Pm 0.6667 0.3333 0.1563
Nd1 Nd 0.3333 0.6667 0.0000
Dy1 Dy 0.0000 0.0000 0.2659
Dy2 Dy 0.3340 0.1670 0.5000
```

Peak list (10 most intense, 10° ≤ 2θ ≤ 90°, low angle first)
| two_theta | Rel. int. | hkl |
| --- | --- | --- |
| 28.32 | 100 | 1 0 3 |
| 29.10 | 85 | 1 1 0 |
| 30.10 | 30 | 1 1 1 |
| 32.94 | 26 | 1 1 2 |
| 34.61 | 37 | 2 0 1 |
| 34.93 | 35 | 1 0 4 |
| 37.14 | 28 | 2 0 2 |
| 37.24 | 24 | 1 1 3 |
| 51.11 | 39 | 2 1 3 |
| 60.32 | 29 | 2 2 0 |

Pm5Nd2Dy3: computed X-ray diffraction stick pattern (Cu Kα (λ = 1.5418 Å)), based on a GGA-PBE-relaxed structure.
No peak broadening, texture or thermal motion is included.

Cell and atoms:
```
data_Pm5Nd2Dy3
_chemical_formula_sum 'Pm20 Nd8 Dy12'
_space_group_name_H-M_alt 'C 1 2/c 1'
_space_group_IT_number 15
_cell_length_a 10.929
_cell_length_b 15.665
_cell_length_c 9.700
_cell_angle_alpha 90.00
_cell_angle_beta 123.99
_cell_angle_gamma 90.00
loop_
_space_group_symop_operation_xyz
'x,y,z'
'-x,-y,-z'
'-x,y,-z+1/2'
'x,-y,z+1/2'
'x+1/2,y+1/2,z'
'-x+1/2,-y+1/2,-z'
'-x+1/2,y+1/2,-z+1/2'
'x+1/2,-y+1/2,z+1/2'
loop_
_atom_site_label
_atom_site_type_symbol
*/

Request
Could you give back every line further up that contains the word "Nd24"?

Written answer
_chemical_formula_sum 'Pm18 Nd24 Dy3'